What Do You Expect? MEAN, MEDIAN, MODE
Average Salary? What do you expect the average employee at McDonald’s makes?
Average Salary? What do you expect the average surgical tech makes? About $20/hr How about the average surgeon? A general surgeon makes about $250,000/yr. Specialists can make much more.
Average Price? What do you expect the average price for a car is at this dealership? A lot! About $ thousand.
Average Price? What do you expect the average price for a car is at this dealership? Probably not too much. Maybe around $1000 or less???
What is “average”? “Average” is the everyday word we use to describe what we expect to find in a given situation. Does anyone remember the formula for finding “average”? Add all items and divide by the total. Ages in this 1 st -2nd grade class: 6, 6, 6, 5, 7, 7, 5, 7, 7, 6 What is the average age? 62 ÷ 10 – 6.2 years old
What happens to expected results when unexpected things occur ? What about this classroom? Do you think the average age is still 6 ½ years old? Let’s check. Let’s take the same class and add in the “new student”: 6, 6, 6, 5, 7, 7, 5, 7, 7, = 92 ÷ 11 = 8.36 Are most students in this classroom a little more than 8 years old? To skew data: when something happens to distort the expected results.
~~~
No. 1
MnCo2GeRh | the Alexandria database | PBE-GGA | optimized geometry; crystal system = tetragonal; formation enthalpy at 0 K = 1.183 eV/atom
1.0
-4.379 1.208 -0.133
-0.110 -0.905 -4.602
-1.211 -4.292 0.873
Co Mn Rh Ge
2 1 1 1
direct
0.500 0.000 0.000
0.000 0.000 0.500
0.000 0.500 0.000
0.000 0.000 0.000
0.500 0.500 0.500


No. 2
MnCoGeRh | the Alexandria database | PBE-GGA | optimized geometry; crystal system = cubic; formation enthalpy at 0 K = -0.308 eV/atom
1.0
4.194 0.000 0.000
2.097 3.632 0.000
2.097 1.211 3.425
Ge Rh Mn Co
1 1 1 1
direct
0.250 0.250 0.250
0.500 0.500 0.500
0.750 0.750 0.750
0.000 0.000 0.000


- Number 2 is which compound?
  MnCoGeRh


- The highest formation enthalpy at 0 K belongs to which entry?
  MnCo2GeRh


What did the second record say?
MnCoGeRh | the Alexandria database | PBE-GGA | optimized geometry; crystal system = cubic; formation enthalpy at 0 K = -0.308 eV/atom
1.0
4.194 0.000 0.000
2.097 3.632 0.000
2.097 1.211 3.425
Ge Rh Mn Co
1 1 1 1
direct
0.250 0.250 0.250
0.500 0.500 0.500
0.750 0.750 0.750
0.000 0.000 0.000

=====

Version i
CuPH6NO5 at its PBEsol-relaxed geometry, computed with meta-GGA SCAN.

Cell: 7.427 7.420 8.607 Å, 90.00 95.28 90.00°
Fractional coordinates of all 56 atoms:
Cu1 0.429 0.310 0.961
Cu2 0.071 0.810 0.039
Cu3 0.571 0.690 0.039
Cu4 0.929 0.190 0.961
P1 0.329 0.950 0.809
P2 0.171 0.450 0.191
P3 0.671 0.050 0.191
P4 0.829 0.550 0.809
H1 0.347 0.568 0.799
H2 0.153 0.068 0.201
H3 0.653 0.432 0.201
H4 0.847 0.932 0.799
H5 0.175 0.434 0.800
H6 0.325 0.934 0.200
H7 0.825 0.566 0.200
H8 0.675 0.066 0.800
H9 0.394 0.819 0.529
H10 0.106 0.319 0.471
H11 0.606 0.181 0.471
H12 0.894 0.681 0.529
H13 0.576 0.674 0.539
H14 0.924 0.174 0.461
H15 0.424 0.326 0.461
H16 0.076 0.826 0.539
H17 0.515 0.786 0.369
H18 0.985 0.286 0.631
H19 0.485 0.214 0.631
H20 0.015 0.714 0.369
H21 0.380 0.620 0.427
H22 0.120 0.120 0.573
H23 0.620 0.380 0.573
H24 0.880 0.880 0.427
N1 0.467 0.726 0.466
N2 0.033 0.226 0.534
N3 0.533 0.274 0.534
N4 0.967 0.774 0.466
O1 0.307 0.439 0.778
O2 0.193 0.939 0.222
O3 0.693 0.561 0.222
O4 0.807 0.061 0.778
O5 0.473 0.106 0.830
O6 0.027 0.606 0.170
O7 0.527 0.894 0.170
O8 0.973 0.394 0.830
O9 0.257 0.943 0.635
O10 0.243 0.443 0.365
O11 0.743 0.057 0.365
O12 0.757 0.557 0.635
O13 0.322 0.495 0.085
O14 0.178 0.995 0.915
O15 0.678 0.505 0.915
O16 0.822 0.005 0.085
O17 0.575 0.231 0.148
O18 0.925 0.731 0.852
O19 0.425 0.769 0.852
O20 0.075 0.269 0.148



Version ii
CuPH6NO5 at its PBEsol-relaxed geometry, computed with meta-GGA SCAN.

Cell: 4.683 5.611 8.788 Å, 90.00 90.00 90.00°
Fractional coordinates of all 28 atoms:
Cu1 0.488 0.000 0.026
Cu2 0.988 0.500 0.974
P1 0.922 0.000 0.809
P2 0.422 0.500 0.191
H1 0.560 0.000 0.545
H2 0.060 0.500 0.455
H3 0.380 0.153 0.407
H4 0.880 0.347 0.593
H5 0.380 0.847 0.407
H6 0.880 0.653 0.593
H7 0.188 0.000 0.541
H8 0.688 0.500 0.459
H9 0.920 0.141 0.174
H10 0.420 0.359 0.826
H11 0.920 0.859 0.174
H12 0.420 0.641 0.826
N1 0.377 0.000 0.474
~~~
== End of the materials data ==
Average: Mean, Median, Mode In real life, unexpected things happen, so in math, the everyday word “average” is broken down into 3 different calculations that each give a specific type of information. If we look at them all together they begin to give a more complete picture of what to expect. Mean: the traditional “average”. Add all items and divide by the number of items. Median: the exact middle. Line up the numbers in order and find the exact middle. If there is no exact middle, average the two middle numbers. Mode: the most common. There can be more than one mode, or no mode. In math, mean, median, and mode are called “measures of central tendency”.
Let’s Practice Julie gave a test that was worth 20 points. Here were the scores for 10 students. Calculate the mean, median, mode. 5, 8, 15, 18, 6, 20, 10, 13, 18, 15 Mean: Add all scores = 128 divided by 10 = 12.8 Median: Line up numbers in order and find exact center 5, 6, 8, 10, 13, 15, 15, 18, 18, is exactly in the middle Mode: 15 and 18 are the most common
Wrap-Up In each situation, what factors might skew the simple average? Would it benefit to get a complete picture of “average” by calculating mean, median, and mode? Average height of students in class where one student is a tall girl on the basketball team Average salary of all of people working in a business Average income of all people in the United States